## Source
<<<
Density functional theory data (PBE-GGA) for crystalline Al4P3H3O15 at its relaxed geometry.

Results
E_tot (eV/atom): -7.00
Crystal system: monoclinic

abc: 10.220 10.220 7.290
angles: 99.85 99.85 40.67
Fractional coordinates of all 50 atoms:
Al1 0.156 0.698 0.577
Al2 0.302 0.844 0.923
Al3 0.323 0.338 0.169
Al4 0.338 0.323 0.669
Al5 0.662 0.677 0.331
Al6 0.677 0.662 0.831
Al7 0.698 0.156 0.077
Al8 0.844 0.302 0.423
P1 0.046 0.287 0.087
P2 0.287 0.046 0.587
P3 0.395 0.605 0.250
P4 0.605 0.395 0.750
P5 0.713 0.954 0.413
P6 0.954 0.713 0.913
H1 0.004 0.996 0.250
H2 0.083 0.528 0.396
H3 0.472 0.917 0.104
H4 0.528 0.083 0.896
H5 0.917 0.472 0.604
H6 0.996 0.004 0.750
O1 0.086 0.572 0.073
O2 0.087 0.604 0.739
O3 0.092 0.116 0.532
O4 0.116 0.092 0.032
O5 0.133 0.867 0.750
O6 0.222 0.458 0.421
O7 0.229 0.238 0.638
O8 0.238 0.229 0.138
O9 0.262 0.708 0.410
O10 0.292 0.738 0.090
O11 0.396 0.913 0.761
O12 0.407 0.461 0.688
O13 0.428 0.914 0.427
O14 0.458 0.222 0.921
O15 0.461 0.407 0.188
O16 0.539 0.593 0.812
O17 0.542 0.778 0.079
O18 0.572 0.086 0.573
O19 0.593 0.539 0.312
O20 0.604 0.087 0.239
>>>
## Work order
Give back the part of the lines above that starts with the line with "10.220 7.290" and stops after the one with "0.844 0.923", please.
## Outcome
abc: 10.220 10.220 7.290
angles: 99.85 99.85 40.67
Fractional coordinates of all 50 atoms:
Al1 0.156 0.698 0.577
Al2 0.302 0.844 0.923